It is quickly becoming clear that JPMorgan’s tentative $13 billion settlement with the Department of Justice is not the massive, overly-punitive sanction that some press reports have made it out to be. The weaknesses in the deal may be explained in part by the fact that in arranging the settlement, JPMorgan was negotiating through the revolving door.
We have the names of the key players involved, thanks to the New York Times: attorney general Eric Holder, associate attorney general Tony West, and deputy attorney general James Cole at the Justice Department, and JPMorgan CEO Jamie Dimon, general counsel Stephen Cutler, and outside counsel H. Rodgin Cohen on the other side of the negotiating table.
Stephen Cutler, JPMorgan’s general counsel, is the former director of the SEC’s enforcement division, a job which gave him experience and contacts that likely serve him well as he fends off legal challenges to the bank. His new position, of course, is much more financially lucrative: he earned over $5 million from JPMorgan in stock awards alone in 2012 (this excludes all cash compensation).
On the other side of the negotiating table (if there are two sides), Holder, Cole, and West are all former white collar defense attorneys. Holder was a partner at Covington & Burling, where his clients included Bank of America and UBS. Cole was a partner at Bryan Cave, where he was appointed as an independent consultant overseeing AIG’s disclosure and compliance practices (and appears to have failed spectacularly in this task).
And lastly, West was a partner at Morrison & Foerster, where his clients in 2008 included none other than Washington Mutual. WaMu, of course, was acquired by JPMorgan Chase in 2008, and its mortgage lending practices are one major reason JPMorgan has such significant legal exposure. West’s disclosure form lists WaMu as a client in 2008, but does not shed light on the nature of the services that he provided.
The DOJ negotiating team.
• Records of crystals that have nothing to do with the entry:
=====
Entry 1:
DFT (GGA-PBE) results for crystalline Ac2HoNi at its relaxed geometry.

Values from the calculation:
DFT formation energy   0.01 eV per atom
Offset from the most stable computed form   0.0000 eV per atom

Cell lengths 3.7704, 3.7704, 8.9062 Å; angles 90.00, 90.00, 90.00 degrees
Fractional coordinates of all 4 atoms:
Ac 0.0000 0.0000 0.1985
Ac 0.0000 0.0000 0.8015
Ho 0.5000 0.5000 0.5000
Ni 0.5000 0.5000 0.0000

***

Entry 2:
DFT (GGA-PBE) results for crystalline AcHoNi2 at its relaxed geometry.

Values from the calculation:
DFT formation energy   -0.24 eV per atom
Offset from the most stable computed form   0.0143 eV per atom

Cell lengths 3.5383, 3.5383, 6.9624 Å; angles 90.00, 90.00, 90.00 degrees
Fractional coordinates of all 4 atoms:
Ac 0.0000 0.0000 0.0000
Ho 0.0000 0.0000 0.5000
Ni 0.5000 0.5000 0.2915
Ni 0.5000 0.5000 0.7085

***

Entry 3:
DFT (GGA-PBE) results for crystalline AcHoNi4 at its relaxed geometry.

Values from the calculation:
DFT formation energy   -0.28 eV per atom
Offset from the most stable computed form   0.0097 eV per atom

Cell lengths 5.1775, 5.1775, 8.6920 Å; angles 90.00, 90.00, 120.00 degrees
Fractional coordinates of all 12 atoms:
Ac 0.3333 0.6667 0.0822
Ac 0.6667 0.3333 0.9178
Ho 0.3333 0.6667 0.4506
Ho 0.6667 0.3333 0.5494
Ni 0.0000 0.0000 0.0000
Ni 0.0000 0.0000 0.5000
Ni 0.1642 0.3283 0.7327
Ni 0.1642 0.8358 0.7327
Ni 0.3283 0.1642 0.2673
Ni 0.6717 0.8358 0.7327
Ni 0.8358 0.1642 0.2673
Ni 0.8358 0.6717 0.2673

***

Entry 4:
DFT (GGA-PBE) results for crystalline Ac2HoNi at its relaxed geometry.

Values from the calculation:
DFT formation energy   0.19 eV per atom
Offset from the most stable computed form   0.1869 eV per atom

Cell lengths 3.9075, 3.9075, 32.3389 Å; angles 90.00, 90.00, 120.00 degrees
Fractional coordinates of all 12 atoms:
Ac 0.0000 0.0000 0.1108
Ac 0.0000 0.0000 0.8892
Ac 0.3333 0.6667 0.5558
Ac 0.3333 0.6667 0.7775
Ac 0.6667 0.3333 0.2225
Ac 0.6667 0.3333 0.4442
Ho 0.0000 0.0000 0.0000
Ho 0.3333 0.6667 0.6667
Ho 0.6667 0.3333 0.3333
Ni 0.0000 0.0000 0.5000
Ni 0.3333 0.6667 0.1667
Ni 0.6667 0.3333 0.8333

***

Entry 5:
DFT (GGA-PBE) results for crystalline AcHo2Ni6 at its relaxed geometry.

Values from the calculation:
DFT formation energy   -0.33 eV per atom

Cell lengths 7.0163, 7.0163, 3.8525 Å; angles 90.00, 90.00, 120.00 degrees
Fractional coordinates of all 9 atoms:
Ac 0.0000 0.0000 0.0000
Ho 0.3333 0.6667 0.0000
Ho 0.6667 0.3333 0.0000
Ni 0.0000 0.3379 0.5000
Ni 0.0000 0.6621 0.5000
Ni 0.3379 0.0000 0.5000
Ni 0.3379 0.3379 0.5000
Ni 0.6621 0.0000 0.5000
Ni 0.6621 0.6621 0.5000

***

> Which formula does entry 5 have?

AcHo2Ni6

~~~~~

No. 1
# PBE-GGA LaTcBi, relaxed
# Offset from the most stable computed form (eV per formula unit): 0.00
# Crystal system: cubic
# ρ (g/cm3): 9.3
# Calculated total energy (eV per formula unit): -19.2
data_LaTcBi
_chemical_formula_sum 'La4 Tc4 Bi4'
_space_group_name_H-M_alt 'F -4 3 m'
_space_group_IT_number 216
_space_group_name_Hall 'F -4 2 3'
=====
JPMorgan has been a client of each firm in recent years, though it is unclear if Holder, West, or Cole personally worked on matters for the bank while at their respective firms.*
[Next to the entry, the page also holds crystal structures]
-- begin --
CsErU | GGA-PBE | relaxed

Lattice parameters (Å, degrees): 5.8025 5.8025 5.8025 60.00 60.00 60.00
Last column: nearest neighbours and their distance in Å.
Fractional positions:
U: 0.0000 0.0000 0.0000  4 Er 3.55, 4 Cs 3.55
Cs: 0.2500 0.2500 0.2500  4 U 3.55
Er: 0.7500 0.7500 0.7500  4 U 3.55

Properties
Mass density (Mg/m³): 6.47
Energy above the lowest structure with this stoichiometry (eV/atom): 0.0000
-- stop --
This white collar defense work pays pretty well, if not at Cutler’s levels. According to financial disclosure forms, Holder received $3.32 million in partnership income from Covington in 2008, before being appointed AG the next year. Cole received $900,000 in 2010 from Bryan Cave, before joining the Justice Department. West received a relatively paltry $318,000 in partnership income from Morrison & Foerster in 2008.
Expect them to be making a lot more in a couple years, if they choose to return to the private sector. While their government salaries are much lower than their private sector compensation, their government service – and their involvement in deals like this one, sitting across the table from Jamie Dimon and negotiating a “tough” deal – has significantly bolstered their value in the marketplace.
Unfortunately, democracy is footing the bill.
*Coincidentally, when JPMorgan settled a $400 million suit with FERC over charges that its commodities unit had been manipulating energy markets earlier this year, it tapped lawyers at Holder’s old firm, Covington & Burling, and West’s old firm, Morrison & Foerster. But the fact that the lawyers at each firm were former FERC officials may go further in explaining why the bank did not suffer greater penalties in that case.
Update (10/23/2013 5:15pm): Tony West, the former WaMu attorney, was the DOJ official who negotiated the details of the settlement with Cutler, after Dimon and Holder got off the phone, according to the NYT:
On a final call that Friday night — Mr. Cutler, Mr. West, Mr. Holder and Mr. Dimon all joined the call — the C.E.O. asked, “What will it take to get this done?”
Mr. Holder informed him that the government would not accept less than $13 billion. And with that, they had a tentative deal.
Mr. Holder and Mr. Dimon left Mr. Cutler and Mr. West to hash out the nuances.
Cole was not reported to be on that phone call, though he was in the room when Dimon and his team met with Holder and his team in Washington in late September.